International (MNN) – Translation work, at a glance, might seem like a pretty simple job. Don’t you just translate, word for word, from one language to another? But in reality, it’s not that easy. Throw in words that have no equal in another language, cultural connotations, and different grammatical structure, and things get complicated pretty quickly.
This is why the workers at Wycliffe Bible Translators are so diverse in their skillsets. And one job you may have never thought of within this body of work is translation consulting.

(Photo courtesy of Wycliffe Bible Translators USA)
-- Attached: data records --
Entry 1:
Diffraction record for Y12MgCo5. The powder diffractogram is theoretical, not measured: it uses a cell relaxed with GGA-PBE and Cu Kα (weighted mean of Kα1 and Kα2).
Kinematic intensities with the Lorentz-polarization factor, no thermal factor.

The 10 most intense peaks (2θ from 10° to 80°), by angle:
- 13.1°, d = 6.733 Å, I = 21
- 29.5°, d = 3.023 Å, I = 24
- 29.7°, d = 3.010 Å, I = 30
- 32.1°, d = 2.784 Å, I = 100
- 34.4°, d = 2.609 Å, I = 61
- 34.8°, d = 2.575 Å, I = 58
- 35.2°, d = 2.552 Å, I = 62
- 37.9°, d = 2.377 Å, I = 24
- 43.9°, d = 2.062 Å, I = 21
- 59.7°, d = 1.550 Å, I = 28

Structure:
a b c (Å): 8.3586 8.3586 8.3586
angles (deg): 110.68 110.43 107.32
Positions (direct):
Y (0.0124, 0.2055, 0.8069)
Y (0.1842, 0.2921, 0.4763)
Y (0.1842, 0.7079, 0.8921)
Y (0.3136, 0.0073, 0.6937)
Y (0.3136, 0.6199, 0.3063)
Y (0.3986, 0.2055, 0.1931)
Y (0.6014, 0.7945, 0.8069)
Y (0.6864, 0.3801, 0.6937)
Y (0.6864, 0.9927, 0.3063)
Y (0.8158, 0.2921, 0.1079)
Y (0.8158, 0.7079, 0.5237)
Y (0.9876, 0.7945, 0.1931)
Mg (0.5000, 0.5000, 0.0000)
Co (0.0000, 0.0000, 0.0000)
Co (0.1111, 0.6111, 0.5000)
Co (0.3806, 0.0000, 0.3806)
Co (0.6194, 0.0000, 0.6194)
Co (0.8889, 0.3889, 0.5000)

***

Entry 2:
Diffraction record for Tb12Ge5S28. The powder diffractogram is theoretical, not measured: it uses a cell relaxed with GGA-PBE and Cu Kα (weighted mean of Kα1 and Kα2).
Kinematic intensities with the Lorentz-polarization factor, no thermal factor.

The 10 most intense peaks (2θ from 10° to 80°), by angle:
- 20.9°, d = 4.260 Å, I = 31
- 23.6°, d = 3.770 Å, I = 21
- 25.8°, d = 3.448 Å, I = 100
- 36.5°, d = 2.460 Å, I = 39
- 37.2°, d = 2.416 Å, I = 29
- 38.1°, d = 2.363 Å, I = 21
- 41.2°, d = 2.192 Å, I = 23
- 41.6°, d = 2.169 Å, I = 20
- 48.3°, d = 1.885 Å, I = 17
- 51.6°, d = 1.772 Å, I = 17

Structure:
a b c (Å): 9.8398 11.4462 11.4628
angles (deg): 61.64 64.59 64.56
Positions (direct):
Tb (0.0000, 0.0000, 0.0000)
Tb (0.0015, 0.4684, 0.5132)
Tb (0.0752, 0.7031, 0.7109)
Tb (0.0864, 0.1915, 0.2265)
Tb (0.3527, 0.6549, 0.2120)
Tb (0.3545, 0.1751, 0.6716)
Tb (0.4369, 0.8947, 0.3868)
Tb (0.4479, 0.3518, 0.9137)
Tb (0.5642, 0.2327, 0.2707)
Tb (0.5862, 0.7417, 0.7461)
Tb (0.8547, 0.6100, 0.1649)
Tb (0.8685, 0.1337, 0.6303)
Ge (0.2211, 0.6450, 0.9885)
Ge (0.5519, 0.5116, 0.4642)
Ge (0.5547, 0.0017, 0.9524)
Ge (0.8853, 0.4307, 0.8724)
Ge (0.8866, 0.9286, 0.3688)
S (0.0617, 0.1662, 0.7260)
S (0.0667, 0.6562, 0.2257)
S (0.1188, 0.9574, 0.5198)
S (0.1218, 0.4382, 0.7207)
S (0.1230, 0.4562, 0.0243)
S (0.1243, 0.9353, 0.2167)
S (0.3161, 0.1526, 0.9433)
S (0.3169, 0.8274, 0.9448)
S (0.3182, 0.3725, 0.4257)
S (0.3182, 0.6714, 0.4596)
S (0.3581, 0.6382, 0.7612)
S (0.3836, 0.1593, 0.2046)
S (0.4665, 0.4851, 0.0545)
S (0.4770, 0.9848, 0.5451)
S (0.5504, 0.3217, 0.6492)
S (0.5548, 0.8168, 0.1443)
S (0.6369, 0.4702, 0.2667)
S (0.6463, 0.9694, 0.7515)
S (0.6908, 0.6424, 0.4311)
S (0.7123, 0.1211, 0.9116)
S (0.7363, 0.4623, 0.7509)
S (0.7438, 0.9654, 0.2399)
-- The article goes on --
Rick Floyd is a translation consultant with Wycliffe USA. He also is a professor and instructor teaching linguistics at Biola University. Part of his job includes coordinating translation projects for Spanish-speaking South America. He also consults with a language group he previously worked with in Peru.
So, just what is his job?
He says, “In my view, a translation consultant serves as an extra pair of eyes to maybe spot things that the translation team hasn’t thought of, they’ve overlooked. Suggestions on how something might be rendered that’s a little awkward. To help them think through exegetical issues. So it’s a multiplicity of roles and potential functions.”
He clarifies that it’s not his job to decide whether or not something is a good translation. Rather, his main goal is to help the translation team think through things from different perspectives. He does his best to help them avoid common pitfalls in translation work.
What makes this job such an important part of Bible translation at Wycliffe USA?
“Because one person doesn’t know everything. One group of people doesn’t know everything. So, in a sense the more eyes you have looking at something—within reason—and variety of experience, you can catch things that may be blind spots to one person and might not be to another person. Consideration of cultural issues, for example.”
Floyd explains that translation work is not a linear process. You don’t just start in Genesis and end in Revelation, going word by word, until it’s finished. Rather, he explains that it’s more cyclical as they comb the work done again, and again. Consulting is just part of the process—another net to try and keep errors from slipping by.
But that doesn’t mean there aren’t mistakes.
“I’ve heard it said the seeds of revision are sown in the translation itself. So, all you have to do is start translating something and there’s going to be problems with something that you do. So, again, we’re very, very imperfect. We do our best… and commit the results to God.”
Now that you’ve learned a little bit more about the complicated work that goes into Bible translation, will you pray?
Floyd asks, “Pray that the Lord of the harvest sends workers to the field, to be able to begin work in the languages that remain. The Scriptures say that at the end, people from every tribe and tongue and nation will be around the throne, and we’re working to make that vision a reality.”
To learn more about how you can partner with Wycliffe USA, click here.
Praise God that the Tembo people of the Democratic Republic of the Congo now have the New Testament in their own language! PRAY for transformed lives. (Header photo, caption courtesy of Wycliffe USA)